RCCAOI 1/10th Electric buggy report

2014 RCCAOI 1/10th Electric Off-Road Irish National Championships Report

Round 1, Navan Nitro Nuts:
The first round of the RCCAOI Nationals was held at the Navan Nitro Nuts track in Navan, Co.Meath. The track is outdoor astro and normally used for 1/8th, however the club went to great lengths to adapt it for 1/10th. The members of NNN put on a great welcome for the 1/10th racers that normally wouldn’t frequent the club. 
As per usual with Ireland, the day started off damp and continued this way throughout the day, with intermittent light showers keeping the track either slippy or extra slippy!  The grip levels changed dramatically through each run, never mind through each round! Though all of this lead to both fun and some very open racing.
The event was one of the best attended National rounds in the last few years with a total of 32 cars racing.


The NNN track during one of the few breaks in the cloud

2WD Clubman (10.5T Limit) was largely dominated by Kevin White with his Schumacher SV2, with a full house of 3 wins in qualifying, followed by Graham Parkes, Dave Bolger and Enda O`Donnell.
The 2WD Modified Qualifying rounds were very interesting to watch with the top 5 drivers swapping finishing positions in the 3 rounds.  Mark Penny came out top in the end though he was having some difficulty adapting to the ever changing conditions.
4WD Modified was even more spread out with three different drivers taking a round, Mark Penny, William White and Alan Thompson.

Materials data, kept here for reference
/*
Entry 1:
# DyNi4Ag
Theoretical XRD peak list, Cu Kα (weighted mean of Kα1 and Kα2). Input: a crystal structure in Alexandria, relaxed with GGA-PBE.
Kinematic intensities with the Lorentz-polarization factor, no thermal factor.

Top 10 peaks for 2θ = 10–90°, low angle first:
| 2θ/deg | d [Å] | I_rel | hkl |
| --- | --- | --- | --- |
| 22.0 | 4.035 | 8 | 1 1 1 |
| 25.5 | 3.495 | 2 | 2 0 0 |
| 36.4 | 2.471 | 57 | 2 2 0 |
| 42.9 | 2.107 | 100 | 3 1 1 |
| 44.9 | 2.018 | 19 | 2 2 2 |
| 57.5 | 1.604 | 2 | 3 3 1 |
| 65.4 | 1.427 | 20 | 4 2 2 |
| 69.9 | 1.345 | 30 | 5 1 1 |
| 77.2 | 1.236 | 22 | 4 4 0 |
| 88.5 | 1.105 | 9 | 6 2 0 |

Atomic structure:
```
data_DyNi4Ag
_chemical_formula_sum 'Dy4 Ni16 Ag4'
_space_group_name_H-M_alt 'F -4 3 m'
_space_group_IT_number 216
_space_group_name_Hall 'F -4 2 3'
_cell_length_a 6.990
_cell_length_b 6.990
_cell_length_c 6.990
_cell_angle_alpha 90.00
_cell_angle_beta 90.00
_cell_angle_gamma 90.00
loop_
_atom_site_label
_atom_site_fract_x
_atom_site_fract_y
_atom_site_fract_z
Dy1 0.000 0.000 0.000
Ni1 0.124 0.124 0.624
Ag1 0.250 0.250 0.250
```

***

Entry 2:
# ThZn2GaCu2
Theoretical XRD peak list, Cu Kα (weighted mean of Kα1 and Kα2). Input: a crystal structure in Alexandria, relaxed with GGA-PBE.
Kinematic intensities with the Lorentz-polarization factor, no thermal factor.

Top 10 peaks for 2θ = 10–90°, low angle first:
| 2θ/deg | d [Å] | I_rel | hkl |
| --- | --- | --- | --- |
| 19.9 | 4.459 | 29 | 1 0 0 |
| 25.3 | 3.521 | 25 | 1 0 1 |
| 28.3 | 3.153 | 49 | 1 1 0 |
| 32.4 | 2.763 | 71 | 1 1 1 |
| 37.3 | 2.413 | 100 | 1 0 2 |
| 40.5 | 2.229 | 70 | 2 0 0 |
| 52.0 | 1.760 | 26 | 2 0 2 |
| 56.2 | 1.637 | 70 | 2 1 2 |
| 58.6 | 1.576 | 23 | 2 2 0 |
| 85.5 | 1.135 | 24 | 3 2 2 |

Atomic structure:
```
data_ThZn2GaCu2
_chemical_formula_sum 'Th1 Zn2 Ga1 Cu2'
_space_group_name_H-M_alt 'P 4/m m m'
_space_group_IT_number 123
_space_group_name_Hall '-P 4 2'
_cell_length_a 4.459
_cell_length_b 4.459
_cell_length_c 5.738
_cell_angle_alpha 90.00
_cell_angle_beta 90.00
_cell_angle_gamma 90.00
loop_
_atom_site_label
_atom_site_fract_x
_atom_site_fract_y
_atom_site_fract_z
Th1 0.000 0.000 0.000
Zn1 0.500 0.500 0.231
Ga1 0.000 0.000 0.500
Cu1 0.000 0.500 0.500
```

***

Entry 3:
# YSb3
Theoretical XRD peak list, Cu Kα (weighted mean of Kα1 and Kα2). Input: a crystal structure in Alexandria, relaxed with GGA-PBE.
Kinematic intensities with the Lorentz-polarization factor, no thermal factor.

Top 10 peaks for 2θ = 10–90°, low angle first:
| 2θ/deg | d [Å] | I_rel | hkl |
| --- | --- | --- | --- |
| 29.7 | 3.006 | 26 | 2 0 0 |
| 33.3 | 2.689 | 100 | 2 1 0 |
| 36.6 | 2.454 | 59 | 2 1 1 |
| 52.7 | 1.736 | 11 | 2 2 2 |
| 55.1 | 1.667 | 23 | 3 2 0 |
| 57.3 | 1.607 | 31 | 3 2 1 |
| 61.7 | 1.503 | 14 | 4 0 0 |
| 72.0 | 1.312 | 21 | 4 2 1 |
| 87.3 | 1.116 | 19 | 5 2 0 |
| 89.2 | 1.098 | 9 | 5 2 1 |

Atomic structure:
```
data_YSb3
_chemical_formula_sum 'Y2 Sb6'
_space_group_name_H-M_alt 'P m -3 n'
_space_group_IT_number 223
*/

However mark took pole position with a 1st and a 2nd followed by William White and Derek McCloskey.
4WD Clubman was poorly attended as it’s a beginner class, the only contender was Graham Parkes with his DEX410.

Starting from a GGA-PBE-relaxed structure, the XRD peak list of Na5V2Se6 was calculated for CuKα.
Neutral-atom scattering factors, no anomalous dispersion.

Top 10 peaks for 15 to 90 degrees two-theta, sorted by position:
23.38 deg, intensity 56, hkl 0 0 4; 23.86 deg, intensity 95, hkl 0 2 0; 25.43 deg, intensity 71, hkl 3 1 0; 25.89 deg, intensity 68, hkl 3 1 -2; 30.05 deg, intensity 82, hkl 3 1 2; 31.23 deg, intensity 67, hkl 3 1 -4; 33.65 deg, intensity 100, hkl 0 2 4; 38.10 deg, intensity 41, hkl 3 1 4; 43.23 deg, intensity 47, hkl 3 3 -2; 44.64 deg, intensity 63, hkl 6 0 -2

Crystal structure
a = 12.1910 Å, b = 7.4588 Å, c = 15.5899 Å
α = 90.00°, β = 102.48°, γ = 90.00°
Space group C2/c (No. 15)
Unique sites:
Na  0.0000  0.1652  0.2500 x4
Na  0.0517  0.2370  0.0013 x8
Na  0.1622  0.3692  0.7376 x8
V  0.2283  0.3661  0.4314 x8
Se  0.0482  0.4772  0.3739 x8
Se  0.1348  0.0265  0.6432 x8
Se  0.2177  0.0468  0.4185 x8

Starting from a GGA-PBE-relaxed structure, the XRD peak list of NdIn2Cu9 was calculated for CuKα.
Neutral-atom scattering factors, no anomalous dispersion.

Top 10 peaks for 15 to 90 degrees two-theta, sorted by position:
33.21 deg, intensity 23, hkl 3 1 0; 34.70 deg, intensity 22, hkl 2 2 1; 35.77 deg, intensity 17, hkl 0 0 2; 37.86 deg, intensity 100, hkl 3 1 1; 41.75 deg, intensity 29, hkl 2 0 2; 42.23 deg, intensity 40, hkl 3 2 1; 43.14 deg, intensity 75, hkl 2 1 2; 43.76 deg, intensity 35, hkl 4 1 0; 65.65 deg, intensity 22, hkl 3 1 3; 67.25 deg, intensity 16, hkl 5 1 2

Crystal structure
a = 8.5301 Å, b = 8.5301 Å, c = 5.0210 Å
α = 90.00°, β = 90.00°, γ = 90.00°
Space group P4/mbm (No. 127)
Unique sites:
Nd  0.0000  0.0000  0.0000 x2
In  0.1238  0.3762  0.0000 x4
Cu  0.0000  0.5000  0.5000 x2
Cu  0.0638  0.2060  0.5000 x8
Cu  0.1763  0.6763  0.2475 x8

Starting from a GGA-PBE-relaxed structure, the XRD peak list of Li4SbTe3O12 was calculated for CuKα.
Neutral-atom scattering factors, no anomalous dispersion.

Top 10 peaks for 15 to 90 degrees two-theta, sorted by position:
19.33 deg, intensity 11, hkl 0 2 0; 19.62 deg, intensity 38, hkl 0 1 1; 19.83 deg, intensity 100, hkl 1 1 0; 30.44 deg, intensity 41, hkl 1 2 -1; 32.14 deg, intensity 35, hkl 1 2 1; 33.98 deg, intensity 22, hkl 0 3 1; 38.73 deg, intensity 13, hkl 1 1 -2; 41.46 deg, intensity 12, hkl 1 1 2; 48.41 deg, intensity 14, hkl 2 3 -1; 50.72 deg, intensity 14, hkl 2 3 1

Crystal structure
a = 5.1477 Å, b = 9.1846 Å, c = 5.2178 Å
α = 90.00°, β = 94.94°, γ = 90.00°
Space group P2 (No. 3)
Unique sites:
Li  0.0000  0.0000  0.0000 x1
Li  0.0000  0.2992  0.5000 x1
Li  0.5000  0.4730  0.5000 x1
Li  0.5000  0.8334  0.0000 x1
Sb  0.5000  0.0527  0.5000 x1
Te  0.0000  0.5572  0.0000 x1
Te  0.0000  0.7516  0.5000 x1
Te  0.5000  0.2418  0.0000 x1
O  0.2112  0.5945  0.3514 x2
O  0.2108  0.7151  0.8476 x2
O  0.2642  0.9091  0.3179 x2
O  0.2841  0.2141  0.2939 x2
O  0.2893  0.3801  0.8050 x2
O  0.2942  0.0788  0.8111 x2


Graham takes the double jump followed by Ashley

Things didn’t change for the finals with the weather going from sun to rain every few minutes. Being a nitro track the mixture of oil and water made things very interesting.
In 2WD Modified Mark Penny dominated the day with his Centro winning the first two legs and sitting out the third. The fight for the remaining rostrum places brought some exciting racing with a 2nd and a 3rd each for Derek McCloskey and William White. However Derek took 2nd due to a better time. The final leg was very interesting with one of the younger drivers, Dylan McBurney, winning it. Dylan is a guy to watch for the next few rounds and is a newly sponsored Schumacher driver.


2WD Modified
1st Mark Penny, 2nd Derek McCloskey, 3rd William White

These crystal structures were left in the piece by mistake:
'''
Computed powder diffractogram
Compound: Li10V5Cr3O16
Radiation: CuKα
Structure: the GGA+U geometry in Alexandria
Neutral-atom scattering factors, no anomalous dispersion.

Largest 8 diffraction maxima, in order of falling intensity, 2θ = 15–90°:
2θ (°)	I_rel
17.86	100
19.19	88
44.29	84
35.60	68
34.89	56
61.47	56
44.16	55
19.26	46

Structural model:
```
data_Li10V5Cr3O16
_cell_length_a 6.0336
_cell_length_b 6.0336
_cell_length_c 9.9320
_cell_angle_alpha 90.31
_cell_angle_beta 90.31
_cell_angle_gamma 59.76
_space_group_name_H-M_alt 'P 1'
_space_group_IT_number 1
_space_group_name_Hall 'P 1'
loop_
_atom_site_label
_atom_site_type_symbol
_atom_site_fract_x
_atom_site_fract_y
_atom_site_fract_z
Li1 Li 0.0000 0.0000 0.0000
Li2 Li 0.0026 0.0026 0.5018
Li3 Li 0.1944 0.6132 0.4254
Li4 Li 0.2022 0.2022 0.4290
Li5 Li 0.3349 0.3349 0.2115
Li6 Li 0.3990 0.8054 0.9269
Li7 Li 0.6132 0.1944 0.4254
Li8 Li 0.6695 0.6695 0.7105
Li9 Li 0.8054 0.3990 0.9269
Li10 Li 0.8063 0.8063 0.9260
V1 V 0.1712 0.1712 0.7017
V2 V 0.3344 0.3344 0.9589
V3 V 0.3372 0.8335 0.2013
V4 V 0.6672 0.6672 0.4586
V5 V 0.8335 0.3372 0.2013
Cr1 Cr 0.1703 0.6674 0.6994
Cr2 Cr 0.6674 0.1703 0.6994
Cr3 Cr 0.8335 0.8335 0.1990
O1 O 0.0171 0.4980 0.8166
O2 O 0.1599 0.1599 0.0838
O3 O 0.1630 0.6806 0.0849
O4 O 0.3225 0.8450 0.5864
O5 O 0.3403 0.3403 0.5830
O6 O 0.4942 0.4942 0.8174
O7 O 0.4980 0.0171 0.8166
O8 O 0.5070 0.5070 0.3162
O9 O 0.5091 0.9881 0.3162
O10 O 0.6722 0.6722 0.0802
O11 O 0.6806 0.1630 0.0849
O12 O 0.8427 0.8427 0.5839
O13 O 0.8450 0.3225 0.5864
O14 O 0.9881 0.5091 0.3162
O15 O 0.9963 0.9963 0.3155
O16 O 0.9983 0.9983 0.8128
```

----------

The following is a simulated PXRD pattern of Mn3Co2NiP6O24. It was derived from a crystal structure in Alexandria, relaxed with PBE+U, using Cu Kα (λ = 1.5418 Å).
Lines closer than 0.1° are merged.

Atomic structure:
```
data_Mn3Co2NiP6O24
_chemical_formula_sum 'Mn9 Co6 Ni3 P18 O72'
_space_group_name_H-M_alt 'R 3'
_space_group_IT_number 146
_space_group_name_Hall 'R 3'
_cell_length_a 8.5783
_cell_length_b 8.5783
'''
Back to the piece:

The 2WD Clubman finals were probably the most fun of the day, with a lot of laughing on the rostrum. Though Kevin White took all three legs and won the day. Though Graham Parkes did his best to stop him with a few collisions, the slippy astro was blamed, though we can`t be sure!


2WD Clubman
1st Kevin White, 2nd Graham Parkes (not pictured), 3rd Dave Bolger
4WD Modified was dominated by Bradley Baird winning the first two legs. Going into the final leg the remaining rostrum positions could have been taken by four drivers, made more interesting with Bradley sitting it out. Derek McCloskey with the Schumacher took overall second with a win and third went to William White with his Team C car. 2WD winner Mark Penny wasn’t having much luck with his B44 and managed to break lots of his car in the final leg.


4WD Modified
1st Bradley Baird, 2nd Derek McCloskey, 3rd William White

The RCCAOI would like to thank the Navan Nitro Nuts for putting on a great days racing, but we would specially like to thank all the drivers for turning out even though the weather wasn’t the best!
It`s looking like it`s going to be an exciting series, with Round 2 at the Dublin Model Car Clubs indoor astro track in The Naul, Co. Dublin.